• Given:
=====
88
Properties=species:S:1:pos:R:3 method="wB97M-V/def2-TZVPD" multiplicity=1 homo_energy_ev=-8.4 total_energy_ev=-135296.453 homo_lumo_gap_ha=0.270 total_charge=0
O 2.3135 -1.1282 2.1517
O 4.0932 -1.0150 -1.9150
O -3.7053 1.3675 -0.0986
Br -2.5068 -1.6979 -4.7373
C 2.3625 -1.2538 0.8817
C 3.2693 -1.1768 -1.0721
C -2.6410 0.7835 0.1129
C -0.9024 -1.3900 -2.3478
C -1.0105 -0.7458 -1.0461
C -2.0161 -1.0096 -3.0042
C -2.1834 -0.0159 -0.9941
C 1.2645 -1.1146 -0.1160
C -0.1074 -0.9128 0.0960
N 3.5551 -1.3112 0.2573
N -2.7024 -0.0770 -2.2406
N 1.8845 -1.1331 -1.3281
N -2.0686 1.0815 1.2983
C -0.7770 -0.9879 1.4544
C -0.9993 0.3889 2.0807
H -0.1498 -2.0680 -2.6936
H 4.1522 -0.5864 0.6449
H -3.6056 0.2443 -2.4460
H 1.4855 -0.7459 -2.1922
H -2.7032 1.6394 1.9057
H -1.7925 -1.5025 1.3389
H -0.1005 -1.4543 2.1262
H -1.2975 0.2773 3.1506
H 0.0010 0.9356 2.2323
O 0.5246 0.6365 5.1122
H -0.4415 0.5256 5.3917
H 0.8699 1.5012 5.5080
O -0.2936 3.2876 3.6989
H 0.1283 3.2664 2.7795
H 0.4466 3.2345 4.3866
O -6.4610 1.2550 -0.1732
H -5.4563 1.3221 -0.2729
H -6.7990 0.5732 -0.8400
O -0.9920 -4.5112 -4.4376
H -0.2728 -4.0869 -5.0091
H -0.6245 -4.6250 -3.5018
O 0.0748 3.0424 0.5065
H 0.7573 2.8938 -0.2254
H -0.8475 2.9782 0.0953
O -4.1134 -2.9870 0.5052
H -4.6463 -3.1393 -0.3413
H -4.4731 -2.1572 0.9590
O -2.1590 0.1137 5.8096
H -1.9757 -0.8097 6.1804
H -3.1482 0.1819 5.6082
O 5.6671 0.1936 1.5523
H 5.0171 0.9308 1.3116
H 6.6051 0.5323 1.3812
O -4.1361 3.2493 2.8292
H -3.7183 4.1274 2.5494
H -3.7562 2.9928 3.7312
O 2.0177 2.0159 -1.3697
H 1.5324 1.5752 -2.1405
H 2.4536 2.8616 -1.7141
O 2.9265 1.3641 3.7193
H 1.9843 1.2551 4.0716
H 2.9154 1.1741 2.7256
O 2.5799 -1.4216 4.6594
H 2.6715 -1.5725 3.6631
H 2.0850 -0.5507 4.8021
O -0.3153 -3.5113 3.7449
H 0.3346 -3.8677 3.0561
H 0.2086 -3.2652 4.5748
O 5.4818 -2.2063 -4.2010
H 6.0283 -2.4066 -3.3734
H 4.5061 -2.1771 -3.9350
O 2.2600 -2.5530 -3.9545
H 2.2765 -3.2325 -4.7041
H 2.3291 -1.6303 -4.3640
O 4.2440 1.4620 -3.4153
H 4.8445 1.7563 -2.6560
H 3.7744 0.6111 -3.1340
O 3.6559 2.0312 0.8570
H 2.9004 1.8894 0.1991
H 3.6882 3.0146 1.0927
O 0.9966 0.6966 -3.4382
H 1.2251 0.3783 -4.3711
H 0.0752 1.1137 -3.4644
O -5.4177 -0.5040 -3.5209
H -4.8272 0.2354 -3.8792
H -6.2406 -0.0801 -3.1124
O -4.1077 1.8054 -4.6232
H -3.1854 1.8723 -5.0337
H -4.7901 1.9533 -5.3554

---

131
Properties=species:S:1:pos:R:3 method="wB97M-V/def2-TZVPD" multiplicity=1 e_above_lowest_kcal_mol=923.6 homo_energy_ev=-7.4 total_energy_ev=-102711.697 homo_lumo_gap_ha=0.251 total_charge=0
C 13.5554 -18.6649 3.4328
C 12.5486 -19.0696 4.3882
O 12.7282 -20.2204 4.7791
N 11.9121 -18.0885 5.0058
C 10.9624 -18.3954 6.0687
H 13.2135 -17.8523 2.7918
H 13.8472 -19.5316 2.8398
H 14.4106 -18.2530 3.9686
H 12.0097 -17.1077 4.7856
H 10.0339 -17.8275 6.0098
H 11.3618 -17.9946 7.0004
H 10.8651 -19.4791 6.1335
C 10.5462 -15.0446 3.4815
C 12.0374 -15.3748 3.3488
O 12.3822 -16.2888 4.0414
N 12.8738 -14.7050 2.5088
C 14.2401 -15.0716 2.1932
H 9.9770 -15.8546 3.0254
H 10.2899 -14.1173 2.9691
H 10.2529 -15.0100 4.5307
H 12.4367 -13.8248 2.2756
H 14.1919 -15.2779 1.1239
H 14.6567 -15.8664 2.8120
H 14.9633 -14.2634 2.3021
C 14.0370 -14.4013 4.6549
C 14.7848 -14.2633 5.9702
O 14.1776 -14.4541 7.0475
N 16.0828 -14.1503 5.8694
C 16.9763 -14.0914 6.9315
H 14.6532 -14.2664 3.7660
H 13.2572 -13.6398 4.6422
H 13.4276 -15.3046 4.6258
H 16.4408 -14.1489 4.9250
H 16.4198 -13.7828 7.8164
H 17.6122 -13.2093 6.8566
H 17.5068 -15.0196 7.1442
C 14.5468 -21.5075 3.4745
C 15.6756 -20.6596 3.8092
O 16.5436 -20.4465 2.9929
N 15.6404 -20.2349 5.0224
C 16.3523 -19.1695 5.6495
H 15.0897 -22.4452 3.3560
H 14.1218 -21.1555 2.5345
H 13.7611 -21.5935 4.2251
H 14.8823 -20.6256 5.5634
H 15.9516 -18.2013 5.3492
H 17.4316 -19.2674 5.5322
H 16.2099 -19.2368 6.7280
C 19.1176 -20.1637 4.0358
C 19.7017 -20.9604 2.9298
O 20.8519 -21.3662 2.9725
N 18.8236 -21.1830 1.9732
C 18.9764 -22.0676 0.8517
H 19.6608 -19.2776 4.3643
H 19.0842 -20.8636 4.8706
H 18.0646 -19.8871 3.9826
H 17.9500 -20.7178 2.1746
=====

• Activity:
Next, reproduce everything further up exactly.

• Outcome:
88
Properties=species:S:1:pos:R:3 method="wB97M-V/def2-TZVPD" multiplicity=1 homo_energy_ev=-8.4 total_energy_ev=-135296.453 homo_lumo_gap_ha=0.270 total_charge=0
O 2.3135 -1.1282 2.1517
O 4.0932 -1.0150 -1.9150
O -3.7053 1.3675 -0.0986
Br -2.5068 -1.6979 -4.7373
C 2.3625 -1.2538 0.8817
C 3.2693 -1.1768 -1.0721
C -2.6410 0.7835 0.1129
C -0.9024 -1.3900 -2.3478
C -1.0105 -0.7458 -1.0461
C -2.0161 -1.0096 -3.0042
C -2.1834 -0.0159 -0.9941
C 1.2645 -1.1146 -0.1160
C -0.1074 -0.9128 0.0960
N 3.5551 -1.3112 0.2573
N -2.7024 -0.0770 -2.2406
N 1.8845 -1.1331 -1.3281
N -2.0686 1.0815 1.2983
C -0.7770 -0.9879 1.4544
C -0.9993 0.3889 2.0807
H -0.1498 -2.0680 -2.6936
H 4.1522 -0.5864 0.6449
H -3.6056 0.2443 -2.4460
H 1.4855 -0.7459 -2.1922
H -2.7032 1.6394 1.9057
H -1.7925 -1.5025 1.3389
H -0.1005 -1.4543 2.1262
H -1.2975 0.2773 3.1506
H 0.0010 0.9356 2.2323
O 0.5246 0.6365 5.1122
H -0.4415 0.5256 5.3917
H 0.8699 1.5012 5.5080
O -0.2936 3.2876 3.6989
H 0.1283 3.2664 2.7795
H 0.4466 3.2345 4.3866
O -6.4610 1.2550 -0.1732
H -5.4563 1.3221 -0.2729
H -6.7990 0.5732 -0.8400
O -0.9920 -4.5112 -4.4376
H -0.2728 -4.0869 -5.0091
H -0.6245 -4.6250 -3.5018
O 0.0748 3.0424 0.5065
H 0.7573 2.8938 -0.2254
H -0.8475 2.9782 0.0953
O -4.1134 -2.9870 0.5052
H -4.6463 -3.1393 -0.3413
H -4.4731 -2.1572 0.9590
O -2.1590 0.1137 5.8096
H -1.9757 -0.8097 6.1804
H -3.1482 0.1819 5.6082
O 5.6671 0.1936 1.5523
H 5.0171 0.9308 1.3116
H 6.6051 0.5323 1.3812
O -4.1361 3.2493 2.8292
H -3.7183 4.1274 2.5494
H -3.7562 2.9928 3.7312
O 2.0177 2.0159 -1.3697
H 1.5324 1.5752 -2.1405
H 2.4536 2.8616 -1.7141
O 2.9265 1.3641 3.7193
H 1.9843 1.2551 4.0716
H 2.9154 1.1741 2.7256
O 2.5799 -1.4216 4.6594
H 2.6715 -1.5725 3.6631
H 2.0850 -0.5507 4.8021
O -0.3153 -3.5113 3.7449
H 0.3346 -3.8677 3.0561
H 0.2086 -3.2652 4.5748
O 5.4818 -2.2063 -4.2010
H 6.0283 -2.4066 -3.3734
H 4.5061 -2.1771 -3.9350
O 2.2600 -2.5530 -3.9545
H 2.2765 -3.2325 -4.7041
H 2.3291 -1.6303 -4.3640
O 4.2440 1.4620 -3.4153
H 4.8445 1.7563 -2.6560
H 3.7744 0.6111 -3.1340
O 3.6559 2.0312 0.8570
H 2.9004 1.8894 0.1991
H 3.6882 3.0146 1.0927
O 0.9966 0.6966 -3.4382
H 1.2251 0.3783 -4.3711
H 0.0752 1.1137 -3.4644
O -5.4177 -0.5040 -3.5209
H -4.8272 0.2354 -3.8792
H -6.2406 -0.0801 -3.1124
O -4.1077 1.8054 -4.6232
H -3.1854 1.8723 -5.0337
H -4.7901 1.9533 -5.3554

---

131
Properties=species:S:1:pos:R:3 method="wB97M-V/def2-TZVPD" multiplicity=1 e_above_lowest_kcal_mol=923.6 homo_energy_ev=-7.4 total_energy_ev=-102711.697 homo_lumo_gap_ha=0.251 total_charge=0
C 13.5554 -18.6649 3.4328
C 12.5486 -19.0696 4.3882
O 12.7282 -20.2204 4.7791
N 11.9121 -18.0885 5.0058
C 10.9624 -18.3954 6.0687
H 13.2135 -17.8523 2.7918
H 13.8472 -19.5316 2.8398
H 14.4106 -18.2530 3.9686
H 12.0097 -17.1077 4.7856
H 10.0339 -17.8275 6.0098
H 11.3618 -17.9946 7.0004
H 10.8651 -19.4791 6.1335
C 10.5462 -15.0446 3.4815
C 12.0374 -15.3748 3.3488
O 12.3822 -16.2888 4.0414
N 12.8738 -14.7050 2.5088
C 14.2401 -15.0716 2.1932
H 9.9770 -15.8546 3.0254
H 10.2899 -14.1173 2.9691
H 10.2529 -15.0100 4.5307
H 12.4367 -13.8248 2.2756
H 14.1919 -15.2779 1.1239
H 14.6567 -15.8664 2.8120
H 14.9633 -14.2634 2.3021
C 14.0370 -14.4013 4.6549
C 14.7848 -14.2633 5.9702
O 14.1776 -14.4541 7.0475
N 16.0828 -14.1503 5.8694
C 16.9763 -14.0914 6.9315
H 14.6532 -14.2664 3.7660
H 13.2572 -13.6398 4.6422
H 13.4276 -15.3046 4.6258
H 16.4408 -14.1489 4.9250
H 16.4198 -13.7828 7.8164
H 17.6122 -13.2093 6.8566
H 17.5068 -15.0196 7.1442
C 14.5468 -21.5075 3.4745
C 15.6756 -20.6596 3.8092
O 16.5436 -20.4465 2.9929
N 15.6404 -20.2349 5.0224
C 16.3523 -19.1695 5.6495
H 15.0897 -22.4452 3.3560
H 14.1218 -21.1555 2.5345
H 13.7611 -21.5935 4.2251
H 14.8823 -20.6256 5.5634
H 15.9516 -18.2013 5.3492
H 17.4316 -19.2674 5.5322
H 16.2099 -19.2368 6.7280
C 19.1176 -20.1637 4.0358
C 19.7017 -20.9604 2.9298
O 20.8519 -21.3662 2.9725
N 18.8236 -21.1830 1.9732
C 18.9764 -22.0676 0.8517
H 19.6608 -19.2776 4.3643
H 19.0842 -20.8636 4.8706
H 18.0646 -19.8871 3.9826
H 17.9500 -20.7178 2.1746